### Data
-- begin --
(1)
The following is a DFT calculation (PBE) of crystalline Al2ZnS4 at its relaxed geometry.

abc: 24.0681 24.0681 24.0681
angles: 8.78 8.78 8.78
With the nearest neighbours (Å) after each atom.
Fractional coordinates of all 14 atoms:
Al 0.6055 0.6055 0.6055  6 S 2.41-2.55
Al 0.8880 0.8880 0.8880  4 S 2.25-2.30
Al 0.7720 0.7720 0.7720  6 S 2.42-2.55
Al 0.0545 0.0545 0.0545  4 S 2.25-2.31
Zn 0.3241 0.3241 0.3241  3 S 2.25
Zn 0.4916 0.4916 0.4916  3 S 2.25
S 0.0009 0.0009 0.0009  3 Zn 2.25
S 0.2879 0.2879 0.2879  3 Al 2.41, 1 Zn 2.60
S 0.9193 0.9193 0.9193  1 Al 2.25
S 0.5424 0.5424 0.5424  3 Al 2.30
S 0.8349 0.8349 0.8349  3 Zn 2.25
S 0.4546 0.4546 0.4546  3 Al 2.42, 1 Zn 2.66
S 0.0858 0.0858 0.0858  1 Al 2.25
S 0.3755 0.3755 0.3755  3 Al 2.31

- Magnetization: 0.0 Bohr magnetons per cell
- Volume: 141.1 Å³/f.u.



(2)
The following is a DFT calculation (PBE) of crystalline Al2Zn2S5 at its relaxed geometry.

abc: 3.7235 3.7235 30.0359
angles: 90.00 90.00 120.00
With the nearest neighbours (Å) after each atom.
Fractional coordinates of all 18 atoms:
Al 0.0000 0.0000 0.3101  6 S 2.44-2.53
Al 0.0000 0.0000 0.8101  6 S 2.44-2.53
Al 0.6667 0.3333 0.0824  4 S 2.27-2.30
Al 0.3333 0.6667 0.5824  4 S 2.27-2.30
Zn 0.6667 0.3333 0.4331  4 S 2.28-2.54
Zn 0.3333 0.6667 0.9331  4 S 2.28-2.54
Zn 0.3333 0.6667 0.1909  4 S 2.24-2.37
Zn 0.6667 0.3333 0.6909  4 S 2.24-2.37
S 0.3333 0.6667 0.4585  3 Zn 2.28
S 0.6667 0.3333 0.9585  3 Zn 2.28
S 0.6667 0.3333 0.3486  3 Al 2.44, 1 Zn 2.54
S 0.3333 0.6667 0.8486  3 Al 2.44, 1 Zn 2.54
S 0.3333 0.6667 0.2653  1 Zn 2.24
S 0.6667 0.3333 0.7653  1 Zn 2.24
S 0.6667 0.3333 0.1580  1 Al 2.27, 3 Zn 2.37
S 0.3333 0.6667 0.6580  1 Al 2.27, 3 Zn 2.37
S 0.3333 0.6667 0.0551  3 Al 2.30
S 0.6667 0.3333 0.5551  3 Al 2.30

- Magnetization: 0.0 Bohr magnetons per cell
- Volume: 180.3 Å³/f.u.



(3)
The following is a DFT calculation (PBE) of crystalline Al2Zn2S5 at its relaxed geometry.

abc: 6.1971 6.5764 9.9932
angles: 70.82 90.00 90.00
With the nearest neighbours (Å) after each atom.
Fractional coordinates of all 18 atoms:
Al 0.8780 0.1597 0.5002  4 S 2.25-2.30
Al 0.8743 0.3718 0.1032  4 S 2.27-2.30
Al 0.3743 0.6282 0.8968  4 S 2.27-2.30
Al 0.3780 0.8403 0.4998  4 S 2.25-2.30
Zn 0.8805 0.9673 0.8905  4 S 2.30-2.40
Zn 0.8663 0.7627 0.3064  4 S 2.32-2.41
Zn 0.3805 0.0327 0.1095  4 S 2.30-2.40
Zn 0.3663 0.2373 0.6936  4 S 2.32-2.41
S 0.4950 0.9569 0.9013  1 Al 2.30, 3 Zn 2.39-2.41
S 0.4986 0.5734 0.6981  2 Al 2.27-2.30, 1 Zn 2.37
S 0.5093 0.1631 0.4971  2 Al 2.27-2.28, 1 Zn 2.35
S 0.4914 0.7603 0.3090  1 Al 2.25, 2 Zn 2.30-2.32
S 0.5066 0.3778 0.0940  2 Al 2.27-2.28, 1 Zn 2.36
S 0.9950 0.0431 0.0987  1 Al 2.30, 3 Zn 2.39-2.41
S 0.0066 0.6222 0.9060  2 Al 2.27-2.28, 1 Zn 2.36
S 0.9914 0.2397 0.6910  1 Al 2.25, 2 Zn 2.30-2.32
S 0.0093 0.8369 0.5029  2 Al 2.27-2.28, 1 Zn 2.35
S 0.9986 0.4266 0.3019  2 Al 2.27-2.30, 1 Zn 2.37

- Volume: 192.3 Å³/f.u.



(4)
The following is a DFT calculation (PBE) of crystalline Al2ZnS4 at its relaxed geometry.

abc: 3.7128 3.7128 25.6686
angles: 90.00 90.00 120.00
With the nearest neighbours (Å) after each atom.
Fractional coordinates of all 14 atoms:
Al 0.0000 0.0000 0.7500  6 S 2.40-2.61
Al 0.0000 0.0000 0.2500  6 S 2.40-2.61
Al 0.6667 0.3333 0.8936  4 S 2.20-2.34
Al 0.3333 0.6667 0.1064  4 S 2.20-2.34
Zn 0.6667 0.3333 0.4133  3 S 2.19
Zn 0.3333 0.6667 0.5867  3 S 2.19
S 0.6667 0.3333 0.2918  3 Al 2.40
S 0.3333 0.6667 0.7082  3 Al 2.40
S 0.6667 0.3333 0.5693  3 Zn 2.19
S 0.3333 0.6667 0.4307  3 Zn 2.19
S 0.6667 0.3333 0.8079  1 Al 2.20
S 0.3333 0.6667 0.1921  1 Al 2.20
S 0.6667 0.3333 0.0696  3 Al 2.34
S 0.3333 0.6667 0.9304  3 Al 2.34

- Magnetization: 0.0 Bohr magnetons per cell
- Volume: 153.2 Å³/f.u.



(5)
The following is a DFT calculation (PBE) of crystalline Al2ZnS4 at its relaxed geometry.

abc: 3.7514 7.4475 7.3314
angles: 58.79 104.82 120.25
With the nearest neighbours (Å) after each atom.
Fractional coordinates of all 7 atoms:
Al 0.6683 0.9048 0.5269  4 S 2.20-2.37
-- stop --

### Job
Your job: find the line further up that holds "2.25-2.31", then set down that line and all lines after it there.

### Result
Al 0.0545 0.0545 0.0545  4 S 2.25-2.31
Zn 0.3241 0.3241 0.3241  3 S 2.25
Zn 0.4916 0.4916 0.4916  3 S 2.25
S 0.0009 0.0009 0.0009  3 Zn 2.25
S 0.2879 0.2879 0.2879  3 Al 2.41, 1 Zn 2.60
S 0.9193 0.9193 0.9193  1 Al 2.25
S 0.5424 0.5424 0.5424  3 Al 2.30
S 0.8349 0.8349 0.8349  3 Zn 2.25
S 0.4546 0.4546 0.4546  3 Al 2.42, 1 Zn 2.66
S 0.0858 0.0858 0.0858  1 Al 2.25
S 0.3755 0.3755 0.3755  3 Al 2.31

- Magnetization: 0.0 Bohr magnetons per cell
- Volume: 141.1 Å³/f.u.



(2)
The following is a DFT calculation (PBE) of crystalline Al2Zn2S5 at its relaxed geometry.

abc: 3.7235 3.7235 30.0359
angles: 90.00 90.00 120.00
With the nearest neighbours (Å) after each atom.
Fractional coordinates of all 18 atoms:
Al 0.0000 0.0000 0.3101  6 S 2.44-2.53
Al 0.0000 0.0000 0.8101  6 S 2.44-2.53
Al 0.6667 0.3333 0.0824  4 S 2.27-2.30
Al 0.3333 0.6667 0.5824  4 S 2.27-2.30
Zn 0.6667 0.3333 0.4331  4 S 2.28-2.54
Zn 0.3333 0.6667 0.9331  4 S 2.28-2.54
Zn 0.3333 0.6667 0.1909  4 S 2.24-2.37
Zn 0.6667 0.3333 0.6909  4 S 2.24-2.37
S 0.3333 0.6667 0.4585  3 Zn 2.28
S 0.6667 0.3333 0.9585  3 Zn 2.28
S 0.6667 0.3333 0.3486  3 Al 2.44, 1 Zn 2.54
S 0.3333 0.6667 0.8486  3 Al 2.44, 1 Zn 2.54
S 0.3333 0.6667 0.2653  1 Zn 2.24
S 0.6667 0.3333 0.7653  1 Zn 2.24
S 0.6667 0.3333 0.1580  1 Al 2.27, 3 Zn 2.37
S 0.3333 0.6667 0.6580  1 Al 2.27, 3 Zn 2.37
S 0.3333 0.6667 0.0551  3 Al 2.30
S 0.6667 0.3333 0.5551  3 Al 2.30

- Magnetization: 0.0 Bohr magnetons per cell
- Volume: 180.3 Å³/f.u.



(3)
The following is a DFT calculation (PBE) of crystalline Al2Zn2S5 at its relaxed geometry.

abc: 6.1971 6.5764 9.9932
angles: 70.82 90.00 90.00
With the nearest neighbours (Å) after each atom.
Fractional coordinates of all 18 atoms:
Al 0.8780 0.1597 0.5002  4 S 2.25-2.30
Al 0.8743 0.3718 0.1032  4 S 2.27-2.30
Al 0.3743 0.6282 0.8968  4 S 2.27-2.30
Al 0.3780 0.8403 0.4998  4 S 2.25-2.30
Zn 0.8805 0.9673 0.8905  4 S 2.30-2.40
Zn 0.8663 0.7627 0.3064  4 S 2.32-2.41
Zn 0.3805 0.0327 0.1095  4 S 2.30-2.40
Zn 0.3663 0.2373 0.6936  4 S 2.32-2.41
S 0.4950 0.9569 0.9013  1 Al 2.30, 3 Zn 2.39-2.41
S 0.4986 0.5734 0.6981  2 Al 2.27-2.30, 1 Zn 2.37
S 0.5093 0.1631 0.4971  2 Al 2.27-2.28, 1 Zn 2.35
S 0.4914 0.7603 0.3090  1 Al 2.25, 2 Zn 2.30-2.32
S 0.5066 0.3778 0.0940  2 Al 2.27-2.28, 1 Zn 2.36
S 0.9950 0.0431 0.0987  1 Al 2.30, 3 Zn 2.39-2.41
S 0.0066 0.6222 0.9060  2 Al 2.27-2.28, 1 Zn 2.36
S 0.9914 0.2397 0.6910  1 Al 2.25, 2 Zn 2.30-2.32
S 0.0093 0.8369 0.5029  2 Al 2.27-2.28, 1 Zn 2.35
S 0.9986 0.4266 0.3019  2 Al 2.27-2.30, 1 Zn 2.37

- Volume: 192.3 Å³/f.u.



(4)
The following is a DFT calculation (PBE) of crystalline Al2ZnS4 at its relaxed geometry.

abc: 3.7128 3.7128 25.6686
angles: 90.00 90.00 120.00
With the nearest neighbours (Å) after each atom.
Fractional coordinates of all 14 atoms:
Al 0.0000 0.0000 0.7500  6 S 2.40-2.61
Al 0.0000 0.0000 0.2500  6 S 2.40-2.61
Al 0.6667 0.3333 0.8936  4 S 2.20-2.34
Al 0.3333 0.6667 0.1064  4 S 2.20-2.34
Zn 0.6667 0.3333 0.4133  3 S 2.19
Zn 0.3333 0.6667 0.5867  3 S 2.19
S 0.6667 0.3333 0.2918  3 Al 2.40
S 0.3333 0.6667 0.7082  3 Al 2.40
S 0.6667 0.3333 0.5693  3 Zn 2.19
S 0.3333 0.6667 0.4307  3 Zn 2.19
S 0.6667 0.3333 0.8079  1 Al 2.20
S 0.3333 0.6667 0.1921  1 Al 2.20
S 0.6667 0.3333 0.0696  3 Al 2.34
S 0.3333 0.6667 0.9304  3 Al 2.34

- Magnetization: 0.0 Bohr magnetons per cell
- Volume: 153.2 Å³/f.u.



(5)
The following is a DFT calculation (PBE) of crystalline Al2ZnS4 at its relaxed geometry.

abc: 3.7514 7.4475 7.3314
angles: 58.79 104.82 120.25
With the nearest neighbours (Å) after each atom.
Fractional coordinates of all 7 atoms:
Al 0.6683 0.9048 0.5269  4 S 2.20-2.37